  • Oct 16, 2022

    fake or not i don’t care i’ll save her

  • Oct 16, 2022

    At least she’s crying on a twitch stream with thousands of viewers and not in section 8 housing with no internet

  • Oct 16, 2022
    2 replies

    i'm not saying it's right or wrong but you can't really expect working class forum posters to care about multimillionaire twitch streamers who, for most of them, never had life experiences or struggles before streaming

    I know you to be reasonable usually

    But I can't tell if you are pointing out "well people don't care that she was being abused because she's rich from a job I don't respect" as though it's like a reasonable thing

    Or if you are pointing that out and agreeing that it is dumb

  • Oct 16, 2022
    2 replies

    I can be cynical but if your first response to a girl saying she's being abused is "she's doing it for views!!" then your head is just f***ed up tbh

  • Oct 16, 2022

    I got nothing to contribute to this thread but s145,)7:&;afdjxienxkzl.3&?

  • Oct 16, 2022
    1 reply
    Cant pick

    I know you to be reasonable usually

    But I can't tell if you are pointing out "well people don't care that she was being abused because she's rich from a job I don't respect" as though it's like a reasonable thing

    Or if you are pointing that out and agreeing that it is dumb

    i would absolutely say it's reasonable for somebody to not care about people so far removed from their current conditions. what??

  • Oct 16, 2022
    1 reply

    it's literally the classic starving kids in africa thing

  • Oct 16, 2022
    1 reply

    it's literally the classic starving kids in africa thing


  • Oct 16, 2022



  • Oct 16, 2022
    1 reply

    i would absolutely say it's reasonable for somebody to not care about people so far removed from their current conditions. what??

    People discuss celebrities getting abused on here all the time, and the perspective people offer is almost never "I don't care because they are rich"

    It seems like this is just the opinion they have because of her line of work not just because she's rich

    But pretending that that is the case, joining a discussion about someone who has been abused just to share that you don't care because they make more money than you feels pretty morally bankrupt, doesn't it?

    If the response people have to someone being abused is "i don't care" and that is argued to be a reasonable thing it could discourage people from speaking out about what has happened to them. Its just a pretty bad thing to argue for.

  • Oct 16, 2022
    1 reply
    Cant pick

    People discuss celebrities getting abused on here all the time, and the perspective people offer is almost never "I don't care because they are rich"

    It seems like this is just the opinion they have because of her line of work not just because she's rich

    But pretending that that is the case, joining a discussion about someone who has been abused just to share that you don't care because they make more money than you feels pretty morally bankrupt, doesn't it?

    If the response people have to someone being abused is "i don't care" and that is argued to be a reasonable thing it could discourage people from speaking out about what has happened to them. Its just a pretty bad thing to argue for.

    i am not saying "i don't care" is a reasonable response to someone being abused

    i am saying "i don't care" is a reasonable response to anything bad happening to anyone that is substantially materially removed from the person claiming they don't care. this is fundamentally different. i'm also not saying it's the right or wrong thing to do. something being reasonable has nothing to do with morality

  • Oct 16, 2022
    2 replies

    "I dont care that they are abusing another human being because they got money and stream on twitch" 🤓

    Yall niggas aint real man tf

    I mean if you're a millionaire staying in an abusive relationship ima have less sympathy than if you're reliant on your abusive partner for housing/resources

  • Oct 16, 2022

    Couldn’t care less

  • Oct 16, 2022
    1 reply

    NGL, wouldn't put it past them faking this quarrel for sympathy points and so the coomers think they have a chance with her. Her donations are probably going through the roof.

    Also, let's not act like she doesn't have some degree of free will

    But yes, she is being pimped by her husband, like most of these e-girls are

    Some of you are so f***ing lost man this is heartbreaking

  • Oct 16, 2022
    1 reply

    i am not saying "i don't care" is a reasonable response to someone being abused

    i am saying "i don't care" is a reasonable response to anything bad happening to anyone that is substantially materially removed from the person claiming they don't care. this is fundamentally different. i'm also not saying it's the right or wrong thing to do. something being reasonable has nothing to do with morality

    If you are not saying it's right or wrong I guess I have no argument with the point behind what you are saying.

    Sharing it or defending people sharing something like that could be pretty harmful for the reason that I said though.

    Personally I would encourage people to not share perspectives that minimize abuse, if they don't care shut up as to not discourage other abuse victims from sharing. If that doesn't matter and you wanna defend it because its technically "reasonable" to have that perspective i guess that's ur thing idk

These crystal structures were left in the piece by mistake >
First-principles (meta-GGA SCAN) data for ScNi6Mo at its PBEsol-relaxed geometry, as listed in the Alexandria database.

DOS at the Fermi energy: 18.15 states/eV/cell
DFT formation energy: -0.170 eV/atom
Symmetry: Cmmm
Energy: -18.44 eV per atom

Cell lengths 6.262, 6.262, 10.213 Å; angles 90.00, 90.00, 109.40 degrees
Atoms (fractional coordinates):
Sc: 0.000 0.000 0.250
Sc: 0.000 0.000 0.750
Sc: 0.249 0.751 0.000
Sc: 0.751 0.249 0.000
Ni: 0.000 0.000 0.000
Ni: 0.000 0.000 0.500
Ni: 0.129 0.384 0.378
Ni: 0.129 0.384 0.622
Ni: 0.132 0.379 0.129
Ni: 0.132 0.379 0.871
Ni: 0.254 0.746 0.257
Ni: 0.254 0.746 0.743
Ni: 0.379 0.132 0.129
Ni: 0.379 0.132 0.871
Ni: 0.384 0.129 0.378
Ni: 0.384 0.129 0.622
Ni: 0.500 0.500 0.000
Ni: 0.500 0.500 0.500
Ni: 0.616 0.871 0.378
Ni: 0.616 0.871 0.622
Ni: 0.621 0.868 0.129
Ni: 0.621 0.868 0.871
Ni: 0.746 0.254 0.257
Ni: 0.746 0.254 0.743
Ni: 0.868 0.621 0.129
Ni: 0.868 0.621 0.871
Ni: 0.871 0.616 0.378
Ni: 0.871 0.616 0.622
Mo: 0.246 0.754 0.500
Mo: 0.500 0.500 0.247
Mo: 0.500 0.500 0.753
Mo: 0.754 0.246 0.500

***

First-principles (meta-GGA SCAN) data for Sc2NiMo at its PBEsol-relaxed geometry, as listed in the Alexandria database.

DOS at the Fermi energy: 7.67 states/eV/cell
DFT formation energy: 0.104 eV/atom
Symmetry: I-4m2
Energy: -19.78 eV per atom

Cell lengths 3.829, 3.829, 9.006 Å; angles 90.00, 90.00, 90.00 degrees
Atoms (fractional coordinates):
Sc: 0.000 0.000 0.000
Sc: 0.000 0.500 0.250
Sc: 0.500 0.000 0.750
Sc: 0.500 0.500 0.500
Ni: 0.000 0.500 0.750
Ni: 0.500 0.000 0.250
Mo: 0.000 0.000 0.500
Mo: 0.500 0.500 0.000

***

First-principles (meta-GGA SCAN) data for Sc2NiMo at its PBEsol-relaxed geometry, as listed in the Alexandria database.

DOS at the Fermi energy: 7.23 states/eV/cell
DFT formation energy: -0.007 eV/atom
Symmetry: Imm2
Energy: -19.89 eV per atom

Cell lengths 3.193, 4.416, 9.393 Å; angles 90.00, 90.00, 90.00 degrees
Atoms (fractional coordinates):
Sc: 0.000 0.000 0.000
Sc: 0.000 0.500 0.224
Sc: 0.500 0.000 0.724
Sc: 0.500 0.500 0.500
Ni: 0.000 0.000 0.480
Ni: 0.500 0.500 0.980
Mo: 0.000 0.500 0.762
Mo: 0.500 0.000 0.262

***

First-principles (meta-GGA SCAN) data for ScNiMo2 at its PBEsol-relaxed geometry, as listed in the Alexandria database.

DOS at the Fermi energy: 15.38 states/eV/cell
DFT formation energy: 0.389 eV/atom
Distance to the lowest polymorph of the same formula: 340.4 meV per atom
Symmetry: R3m
Energy: -24.66 eV per atom

Cell lengths 2.786, 2.786, 27.249 Å; angles 90.00, 90.00, 120.00 degrees
Atoms (fractional coordinates):
Sc: 0.000 0.000 0.000
Sc: 0.333 0.667 0.667
Sc: 0.667 0.333 0.333
Ni: 0.000 0.000 0.746
Ni: 0.333 0.667 0.412
Ni: 0.667 0.333 0.079
Mo: 0.000 0.000 0.241
Mo: 0.000 0.000 0.487
Mo: 0.333 0.667 0.154
Mo: 0.333 0.667 0.908
Mo: 0.667 0.333 0.574
Mo: 0.667 0.333 0.820

***

First-principles (meta-GGA SCAN) data for Ni2MoSe at its PBEsol-relaxed geometry, as listed in the Alexandria database.

DOS at the Fermi energy: 5.53 states/eV/cell
Here the piece continues >

  • Oct 16, 2022

    Some of you are so f***ing lost man this is heartbreaking

  • Oct 16, 2022

    Couldn’t care less

  • Oct 16, 2022
    1 reply

    please stop making threads about youtubers and twitch streamers unless they are top 10 most recognized.

  • Oct 16, 2022
    1 reply
    Cant pick

    If you are not saying it's right or wrong I guess I have no argument with the point behind what you are saying.

    Sharing it or defending people sharing something like that could be pretty harmful for the reason that I said though.

    Personally I would encourage people to not share perspectives that minimize abuse, if they don't care shut up as to not discourage other abuse victims from sharing. If that doesn't matter and you wanna defend it because its technically "reasonable" to have that perspective i guess that's ur thing idk

    nobody here is going to give a f*** about twitch streamer drama

    nobody here saying they don't care would say that emotional, domestic, sexual, or any type of abuse is okay

    they don't care because none of this is relevant to them. you are painting them as tacit supporters of abuse though which is weird

  • Oct 16, 2022

    please stop making threads about youtubers and twitch streamers unless they are top 10 most recognized.

    shes like top 5 e girls

  • rise zero

    I can be cynical but if your first response to a girl saying she's being abused is "she's doing it for views!!" then your head is just f***ed up tbh

    underrated post

  • if videos like this give the courage for women (or men ) to leave abusive people, it’s a video that has a purpose

    guess what? one person probably made that choice for the better. i endorse it and don’t care if someone is wealthy or a clout chaser for wealth.

    if the equation helps one person, point made.

  • Oct 16, 2022
    1 reply

    nobody here is going to give a f*** about twitch streamer drama

    nobody here saying they don't care would say that emotional, domestic, sexual, or any type of abuse is okay

# Materials data that have nothing to do with the page
┌──
(1)
Hf3CdTc2 (GGA-PBE, optimized geometry); magnetization = 0.01 Bohr magnetons per cell; total energy = -8.9721 eV per atom
1.0
3.304 0.000 0.000
0.000 3.304 0.000
0.000 0.000 10.395
Cd Hf Tc
1 3 2
Direct
0.500 0.500 0.500 Cd
0.000 0.000 0.000 Hf
0.000 0.000 0.302 Hf
0.000 0.000 0.698 Hf
0.500 0.500 0.161 Tc
0.500 0.500 0.839 Tc

(2)
RbHfCd (GGA-PBE, optimized geometry); relative energy among the computed polymorphs = 480 meV per atom; magnetization = 0.01 Bohr magnetons per cell; total energy = -2.1942 eV per atom
1.0
0.000 3.717 3.717
3.717 0.000 3.717
3.717 3.717 0.000
Cd Hf Rb
1 1 1
Direct
0.250 0.250 0.250 Cd
0.750 0.750 0.750 Hf
0.000 0.000 0.000 Rb

(3)
Sc2ZnCd2AgAu2 (GGA-PBE, optimized geometry); magnetization = 0.00 Bohr magnetons per cell; total energy = -3.5793 eV per atom
1.0
-0.706 -3.812 -2.746
-0.489 -2.702 3.876
-6.601 1.213 0.012
Ag Au Cd Sc Zn
1 2 2 2 1
Direct
0.500 0.500 0.000 Ag
0.000 0.000 0.000 Au
0.500 0.500 0.500 Au
0.000 0.500 0.252 Cd
0.500 0.000 0.748 Cd
0.500 0.000 0.254 Sc
0.000 0.500 0.746 Sc
0.000 0.000 0.500 Zn

(4)
Sm2Lu6Ga (GGA-PBE, optimized geometry); magnetization = 0.02 Bohr magnetons per cell; total energy = -4.5194 eV per atom
1.0
-8.917 -1.023 -1.352
5.401 -7.286 0.356
-0.516 -0.208 3.561
Ga Lu Sm
1 6 2
Direct
0.000 0.000 0.500 Ga
0.260 0.000 0.000 Lu
0.000 0.260 0.000 Lu
0.740 0.740 0.000 Lu
0.621 0.000 0.500 Lu
0.379 0.379 0.500 Lu
0.000 0.621 0.500 Lu
0.667 0.333 0.000 Sm
0.333 0.667 0.000 Sm

(5)
PuTlSi (GGA-PBE, optimized geometry); relative energy among the computed polymorphs = 243 meV per atom; magnetization = 5.17 Bohr magnetons per cell; total energy = -7.0404 eV per atom
1.0
0.000 3.467 3.467
3.467 0.000 3.467
3.467 3.467 0.000
Pu Si Tl
1 1 1
Direct
0.000 0.000 0.000 Pu
0.250 0.250 0.250 Si
0.750 0.750 0.750 Tl

(6)
ScAgTeO (GGA-PBE, optimized geometry); relative energy among the computed polymorphs = 7 meV per atom; magnetization = 0.00 Bohr magnetons per cell; total energy = -5.9539 eV per atom
1.0
5.479 0.000 0.000
0.000 9.883 0.000
0.000 0.000 5.491
Ag O Sc Te
4 4 4 4
Direct
0.750 0.500 0.029 Ag
0.250 0.500 0.471 Ag
0.750 0.500 0.529 Ag
0.250 0.500 0.971 Ag
0.750 0.000 0.001 O
0.250 0.000 0.499 O
0.750 0.000 0.501 O
0.250 0.000 0.999 O
0.500 0.094 0.250 Sc
0.000 0.906 0.250 Sc
0.000 0.094 0.750 Sc
0.500 0.906 0.750 Sc
0.000 0.277 0.250 Te
0.500 0.723 0.250 Te
0.500 0.277 0.750 Te
└──

    they don't care because none of this is relevant to them. you are painting them as tacit supporters of abuse though which is weird

    I understand the point of what you are sayin. You're not saying that its a morally decent thing to say

    You are saying they don't care because its a famous rich person who they have no interest or knowledge about that they feel disconnected from and for that reason its reasonable for them to feel that way

    I would say they shouldn't share that and I would also say someone shouldn't defend how "reasonable" it is for them to share that in a thread about someone sharing that they were abused

  • Oct 16, 2022

    chat mods getting burrrrrrned!!!

    EDIT: 100% of e-girls are married and/or part of a long term relationship.

  • Oct 16, 2022

    F*** yall on
